Data:
Entry 1:
DFT (PBE) results for SnSO4 after structural relaxation.

The structure in POSCAR format:
```
SnSO4
1.0
5.458 0.000 0.000
-0.158 7.251 0.000
-0.165 -0.017 9.142
Sn S O
4 4 16
direct
0.698 0.285 0.716
0.302 0.715 0.284
0.211 0.780 0.785
0.789 0.220 0.215
0.230 0.318 0.925
0.269 0.183 0.426
0.731 0.817 0.574
0.770 0.682 0.075
0.769 0.979 0.675
0.508 0.708 0.618
0.748 0.528 0.185
0.047 0.301 0.404
0.953 0.699 0.596
0.998 0.794 0.109
0.252 0.472 0.815
0.294 0.130 0.580
0.231 0.021 0.325
0.492 0.292 0.382
0.002 0.206 0.891
0.773 0.618 0.924
0.450 0.199 0.901
0.550 0.801 0.099
0.227 0.382 0.076
0.706 0.870 0.420
```

Computed properties:
Space-group type ... No. 2
Formation enthalpy at 0 K ... -1832 meV/atom
VASP energy ... -6.031 eV per atom
E above lowest polymorph ... 1 kJ/mol of formula units

---

Entry 2:
DFT (PBE) results for ZnSnS3O12 after structural relaxation.

The structure in POSCAR format:
```
ZnSnS3O12
1.0
-3.273 6.287 -5.097
2.196 -7.713 -3.448
-20.864 -7.689 3.912
Zn Sn S O
6 6 18 72
direct
0.000 0.000 0.354
0.000 0.000 0.854
0.667 0.333 0.687
0.667 0.333 0.187
0.333 0.667 0.020
0.333 0.667 0.520
0.000 0.000 0.648
0.000 0.000 0.148
0.667 0.333 0.981
0.667 0.333 0.481
0.333 0.667 0.314
0.333 0.667 0.814
0.293 0.003 0.251
0.710 0.707 0.251
0.997 0.290 0.251
0.293 0.290 0.751
0.997 0.707 0.751
0.710 0.003 0.751
0.960 0.337 0.585
0.377 0.040 0.585
0.663 0.623 0.585
0.960 0.623 0.085
0.663 0.040 0.085
0.377 0.337 0.085
0.627 0.670 0.918
0.043 0.373 0.918
0.330 0.957 0.918
0.627 0.957 0.418
0.330 0.373 0.418
0.043 0.670 0.418
0.211 0.030 0.303
0.819 0.789 0.303
0.970 0.181 0.303
0.211 0.181 0.803
0.970 0.789 0.803
0.819 0.030 0.803
0.783 0.962 0.696
0.179 0.217 0.696
0.038 0.821 0.696
0.783 0.821 0.196
0.038 0.217 0.196
0.179 0.962 0.196
0.877 0.363 0.637
0.486 0.123 0.637
0.637 0.514 0.637
0.877 0.514 0.137
0.637 0.123 0.137
0.486 0.363 0.137
0.450 0.295 0.030
0.846 0.550 0.030
0.705 0.154 0.030
0.450 0.154 0.530
0.705 0.550 0.530
0.846 0.295 0.530
0.544 0.696 0.970
0.152 0.456 0.970
0.304 0.848 0.970
0.544 0.848 0.470
0.304 0.456 0.470
0.152 0.696 0.470
0.116 0.629 0.363
0.512 0.884 0.363
0.371 0.488 0.363
0.116 0.488 0.863
0.371 0.884 0.863
0.512 0.629 0.863
0.023 0.823 0.408
0.800 0.977 0.408
0.177 0.200 0.408
0.023 0.200 0.908
0.177 0.977 0.908
0.800 0.823 0.908
0.974 0.171 0.590
0.197 0.026 0.590
0.829 0.803 0.590
0.974 0.803 0.090
0.829 0.026 0.090
0.197 0.171 0.090
0.689 0.156 0.742
0.467 0.311 0.742
0.844 0.533 0.742
0.689 0.533 0.242
0.844 0.311 0.242
0.467 0.156 0.242
0.641 0.505 0.924
0.864 0.359 0.924
0.495 0.136 0.924
0.641 0.136 0.424
0.495 0.359 0.424
0.864 0.505 0.424
0.356 0.490 0.075
0.134 0.644 0.075
0.510 0.866 0.075
0.356 0.866 0.575
0.510 0.644 0.575
0.134 0.490 0.575
0.307 0.838 0.257
0.531 0.693 0.257
0.162 0.469 0.257
0.307 0.469 0.757
0.162 0.693 0.757
0.531 0.838 0.757
```

Computed properties:
Formation enthalpy at 0 K ... -1841 meV/atom
VASP energy ... -5.889 eV per atom

---

Entry 3:
DFT (PBE) results for SrS2O8 after structural relaxation.

The structure in POSCAR format:
```
SrS2O8
1.0
-7.297 1.000 -0.881
-0.393 -10.208 -8.334
-2.560 -8.938 11.068
Sr S O
8 16 64
direct
0.650 0.433 0.310
0.850 0.933 0.690
0.150 0.567 0.190
0.350 0.067 0.810
0.350 0.567 0.690
0.150 0.067 0.310
0.850 0.433 0.810
0.650 0.933 0.190
0.664 0.132 0.335
0.836 0.632 0.665
0.164 0.868 0.165
0.336 0.368 0.835
0.336 0.868 0.665
0.164 0.368 0.335
0.836 0.132 0.835
0.664 0.632 0.165
0.855 0.355 0.073
0.645 0.855 0.927
0.355 0.645 0.427
0.145 0.145 0.573
0.145 0.645 0.927
0.355 0.145 0.073
0.645 0.355 0.573
0.855 0.855 0.427
0.623 0.240 0.319
0.877 0.740 0.681
0.123 0.760 0.181
0.377 0.260 0.819
0.377 0.760 0.681
0.123 0.260 0.319
0.877 0.240 0.819
0.623 0.740 0.181
0.001 0.431 0.320
0.499 0.931 0.680
0.501 0.569 0.180
0.999 0.069 0.820
0.999 0.569 0.680
0.501 0.069 0.320
0.499 0.431 0.820
0.001 0.931 0.180
0.806 0.094 0.270
0.694 0.594 0.730
0.306 0.906 0.230
0.194 0.406 0.770
0.194 0.906 0.730

To do:
The reader should say how many lines of the rows further up hold the word "enthalpy", as a bare number.

Worked solution:
2